### Activity
Filter the material underneath: keep the lines with the word "fractional".

### Source
~~~
[1]
Starting from a GGA-PBE-relaxed structure, the powder diffractogram of K2NdF5 was computed for Cu Kα X-rays.

Principal peaks in the range 10 to 90 degrees two-theta, by angle:
15.32 deg, intensity 100
15.96 deg, intensity 49
26.30 deg, intensity 30
27.46 deg, intensity 68
28.21 deg, intensity 84
28.57 deg, intensity 55
39.22 deg, intensity 44
40.31 deg, intensity 33
44.95 deg, intensity 30
49.46 deg, intensity 34

a b c (Å): 11.105 7.558 6.777
angles (deg): 90.00 90.00 90.00
Element x y z (fractional)
K  0.173  0.003  0.025
K  0.173  0.497  0.025
K  0.327  0.503  0.525
K  0.327  0.997  0.525
K  0.673  0.003  0.475
K  0.673  0.497  0.475
K  0.827  0.503  0.975
K  0.827  0.997  0.975
Nd  0.002  0.250  0.567
Nd  0.498  0.750  0.067
Nd  0.502  0.250  0.933
Nd  0.998  0.750  0.433
F  0.011  0.250  0.905
F  0.083  0.532  0.645
F  0.083  0.968  0.645
F  0.167  0.250  0.361
F  0.197  0.750  0.328
F  0.303  0.250  0.828
F  0.333  0.750  0.861
F  0.417  0.032  0.145
F  0.417  0.468  0.145
F  0.489  0.750  0.405
F  0.511  0.250  0.595
F  0.583  0.532  0.855
F  0.583  0.968  0.855
F  0.667  0.250  0.139
F  0.697  0.750  0.172
F  0.803  0.250  0.672
F  0.833  0.750  0.639
F  0.917  0.032  0.355
F  0.917  0.468  0.355
F  0.989  0.750  0.095

[2]
Starting from a GGA-PBE-relaxed structure, the powder diffractogram of K3NdF6 was computed for Cu Kα X-rays.

Principal peaks in the range 10 to 90 degrees two-theta, by angle:
15.94 deg, intensity 51
18.42 deg, intensity 46
26.17 deg, intensity 100
30.79 deg, intensity 25
37.35 deg, intensity 53
41.95 deg, intensity 21
46.17 deg, intensity 40
53.85 deg, intensity 33
60.83 deg, intensity 18
73.60 deg, intensity 20

a b c (Å): 6.810 6.810 6.810
angles (deg): 60.00 60.00 60.00
Element x y z (fractional)
K  0.000  0.000  0.000
K  0.250  0.250  0.250
K  0.750  0.750  0.750
Nd  0.500  0.500  0.500
F  0.264  0.264  0.736
F  0.264  0.736  0.264
F  0.264  0.736  0.736
F  0.736  0.264  0.264
F  0.736  0.264  0.736
F  0.736  0.736  0.264

[3]
Starting from a GGA-PBE-relaxed structure, the powder diffractogram of KNdF4 was computed for Cu Kα X-rays.

Principal peaks in the range 10 to 90 degrees two-theta, by angle:
11.22 deg, intensity 91
18.03 deg, intensity 74
26.68 deg, intensity 87
28.12 deg, intensity 100
28.35 deg, intensity 35
29.11 deg, intensity 49
37.13 deg, intensity 35
41.08 deg, intensity 73
47.37 deg, intensity 34
49.23 deg, intensity 71

a b c (Å): 6.297 3.778 15.768
angles (deg): 90.00 90.00 90.00
Element x y z (fractional)
K  0.223  0.250  0.202
K  0.277  0.750  0.702
K  0.723  0.250  0.298
K  0.777  0.750  0.798
Nd  0.249  0.750  0.439
Nd  0.251  0.250  0.939
Nd  0.749  0.750  0.061
Nd  0.751  0.250  0.561
F  0.004  0.250  0.058
F  0.088  0.250  0.806
F  0.106  0.250  0.365
F  0.134  0.250  0.535
F  0.366  0.750  0.035
F  0.394  0.750  0.865
F  0.412  0.750  0.306
F  0.496  0.750  0.558
F  0.504  0.250  0.442
F  0.588  0.250  0.694
F  0.606  0.250  0.135
F  0.634  0.250  0.965
F  0.866  0.750  0.465
F  0.894  0.750  0.635
F  0.912  0.750  0.194
F  0.996  0.750  0.942

[4]
Starting from a GGA-PBE-relaxed structure, the powder diffractogram of K2RbNdF6 was computed for Cu Kα X-rays.

Principal peaks in the range 10 to 90 degrees two-theta, by angle:
15.53 deg, intensity 15
17.96 deg, intensity 54
25.50 deg, intensity 100
36.37 deg, intensity 47
40.85 deg, intensity 26
44.95 deg, intensity 41
52.39 deg, intensity 29
55.83 deg, intensity 13
59.14 deg, intensity 20
71.45 deg, intensity 22

a b c (Å): 6.986 6.986 6.986
angles (deg): 60.00 60.00 60.00
Element x y z (fractional)
K  0.250  0.250  0.250
K  0.750  0.750  0.750
Rb  0.000  0.000  0.000
Nd  0.500  0.500  0.500
F  0.270  0.270  0.730
F  0.270  0.730  0.270
F  0.270  0.730  0.730
F  0.730  0.270  0.270
F  0.730  0.270  0.730
F  0.730  0.730  0.270

[5]
Starting from a GGA-PBE-relaxed structure, the powder diffractogram of KNp2F9 was computed for Cu Kα X-rays.

Principal peaks in the range 10 to 90 degrees two-theta, by angle:
~~~

### Here it is
Element x y z (fractional)
Element x y z (fractional)
Element x y z (fractional)
Element x y z (fractional)